Quote the whole of the calculation results underneath verbatim.
<<<
1.
This entry pairs a crystal structure of Li3MnV3O8 with its simulated PXRD pattern. Radiation: Cu Kα X-rays. Structure: a DFT-relaxed cell (GGA+U, the Materials Project).

Cell and atoms:
Lattice parameters (Å, degrees): 5.965 5.973 10.302 89.97 73.28 60.12
Space group P-1 (No. 2)
One atom of each set of equivalent atoms:
Li  0.001  0.252  0.252 [2 per cell]
Li  0.003  0.752  0.248 [2 per cell]
Li  0.498  0.750  0.752 [2 per cell]
Mn  0.497  0.246  0.751 [2 per cell]
V  0.000  0.000  0.500 [1 per cell]
V  0.000  0.500  0.000 [1 per cell]
V  0.500  0.000  0.000 [1 per cell]
V  0.500  0.000  0.500 [1 per cell]
V  0.500  0.500  0.000 [1 per cell]
V  0.500  0.500  0.500 [1 per cell]
O  0.254  0.867  0.614 [2 per cell]
O  0.256  0.376  0.115 [2 per cell]
O  0.265  0.140  0.873 [2 per cell]
O  0.272  0.091  0.372 [2 per cell]
O  0.272  0.645  0.371 [2 per cell]
O  0.276  0.585  0.871 [2 per cell]
O  0.281  0.355  0.629 [2 per cell]
O  0.283  0.864  0.129 [2 per cell]

Most intense lines, 10 to 90 degrees two-theta, by angle:
(hkl)	d (Å)	2θ/deg	Rel. int.
1 0 0	4.873	18.21	100
2 1 -1	2.547	35.24	18
1 1 -3	2.541	35.32	16
0 2 2	2.114	42.77	24
2 2 -2	2.107	42.93	48
2 4 0	1.494	62.12	13
2 0 -4	1.492	62.24	13
2 2 6	1.489	62.38	13



2.
This entry pairs a crystal structure of BaDyFe4O7 with its simulated PXRD pattern. Radiation: Cu Kα X-rays. Structure: a DFT-relaxed cell (GGA+U, the Materials Project).

Cell and atoms:
Lattice parameters (Å, degrees): 6.354 6.354 9.330 90.00 90.00 90.00
Space group I-4 (No. 82)
One atom of each set of equivalent atoms:
Ba  0.000  0.000  0.000 [2 per cell]
Dy  0.000  0.500  0.250 [2 per cell]
Fe  0.029  0.741  0.630 [8 per cell]
O  0.000  0.000  0.500 [2 per cell]
O  0.000  0.500  0.005 [4 per cell]
O  0.199  0.798  0.226 [8 per cell]

Most intense lines, 10 to 90 degrees two-theta, by angle:
(hkl)	d (Å)	2θ/deg	Rel. int.
1 1 2	3.236	27.56	62
2 0 0	3.177	28.09	31
1 0 3	2.793	32.04	51
1 2 1	2.718	32.95	100
2 0 2	2.626	34.14	27
1 3 2	1.845	49.38	28
2 3 1	1.732	52.87	25
2 2 4	1.618	56.91	35



3.
This entry pairs a crystal structure of SrCa7TiMn7O21 with its simulated PXRD pattern. Radiation: Cu Kα X-rays. Structure: a DFT-relaxed cell (GGA+U, the Materials Project).

Cell and atoms:
Lattice parameters (Å, degrees): 7.780 7.783 7.797 90.51 90.17 90.26
Space group P1 (No. 1)
One atom of each set of equivalent atoms:
Sr  0.000  0.000  0.000 [1 per cell]
Ca  0.011  0.529  0.047 [1 per cell]
Ca  0.501  0.556  0.519 [1 per cell]
Ca  0.503  0.544  0.047 [1 per cell]
Ca  0.516  0.006  0.482 [1 per cell]
Ca  0.520  0.022  0.995 [1 per cell]
Ca  0.981  0.517  0.506 [1 per cell]
Ca  0.995  0.967  0.512 [1 per cell]
Ti  0.258  0.278  0.766 [1 per cell]
Mn  0.253  0.741  0.758 [1 per cell]
Mn  0.254  0.273  0.257 [1 per cell]
Mn  0.255  0.779  0.268 [1 per cell]
Mn  0.749  0.747  0.263 [1 per cell]
Mn  0.750  0.238  0.744 [1 per cell]
Mn  0.750  0.270  0.261 [1 per cell]
Mn  0.751  0.745  0.763 [1 per cell]
O  0.003  0.323  0.264 [1 per cell]
O  0.004  0.753  0.727 [1 per cell]
O  0.064  0.157  0.725 [1 per cell]
O  0.195  0.030  0.270 [1 per cell]
O  0.222  0.755  0.010 [1 per cell]
O  0.241  0.484  0.662 [1 per cell]
O  0.263  0.313  0.995 [1 per cell]
O  0.292  0.809  0.518 [1 per cell]
O  0.303  0.523  0.282 [1 per cell]
O  0.463  0.177  0.719 [1 per cell]
O  0.500  0.727  0.800 [1 per cell]
O  0.504  0.209  0.259 [1 per cell]
O  0.521  0.824  0.220 [1 per cell]
O  0.697  0.511  0.292 [1 per cell]
O  0.721  0.789  0.507 [1 per cell]
O  0.747  0.990  0.801 [1 per cell]
O  0.751  0.259  0.009 [1 per cell]
O  0.754  0.486  0.707 [1 per cell]
O  0.772  0.182  0.489 [1 per cell]
O  0.786  0.721  0.017 [1 per cell]
O  0.992  0.734  0.295 [1 per cell]

Most intense lines, 10 to 90 degrees two-theta, by angle:
(hkl)	d (Å)	2θ/deg	Rel. int.
0 2 -2	2.767	32.36	38
2 -2 0	2.755	32.50	100
2 2 0	2.743	32.64	70
0 0 4	1.948	46.63	44
4 0 0	1.945	46.70	28
2 2 -4	1.595	57.79	22
4 -2 2	1.591	57.96	27
4 2 2	1.582	58.32	17



4.
>>>
1.
This entry pairs a crystal structure of Li3MnV3O8 with its simulated PXRD pattern. Radiation: Cu Kα X-rays. Structure: a DFT-relaxed cell (GGA+U, the Materials Project).

Cell and atoms:
Lattice parameters (Å, degrees): 5.965 5.973 10.302 89.97 73.28 60.12
Space group P-1 (No. 2)
One atom of each set of equivalent atoms:
Li  0.001  0.252  0.252 [2 per cell]
Li  0.003  0.752  0.248 [2 per cell]
Li  0.498  0.750  0.752 [2 per cell]
Mn  0.497  0.246  0.751 [2 per cell]
V  0.000  0.000  0.500 [1 per cell]
V  0.000  0.500  0.000 [1 per cell]
V  0.500  0.000  0.000 [1 per cell]
V  0.500  0.000  0.500 [1 per cell]
V  0.500  0.500  0.000 [1 per cell]
V  0.500  0.500  0.500 [1 per cell]
O  0.254  0.867  0.614 [2 per cell]
O  0.256  0.376  0.115 [2 per cell]
O  0.265  0.140  0.873 [2 per cell]
O  0.272  0.091  0.372 [2 per cell]
O  0.272  0.645  0.371 [2 per cell]
O  0.276  0.585  0.871 [2 per cell]
O  0.281  0.355  0.629 [2 per cell]
O  0.283  0.864  0.129 [2 per cell]

Most intense lines, 10 to 90 degrees two-theta, by angle:
(hkl)	d (Å)	2θ/deg	Rel. int.
1 0 0	4.873	18.21	100
2 1 -1	2.547	35.24	18
1 1 -3	2.541	35.32	16
0 2 2	2.114	42.77	24
2 2 -2	2.107	42.93	48
2 4 0	1.494	62.12	13
2 0 -4	1.492	62.24	13
2 2 6	1.489	62.38	13



2.
This entry pairs a crystal structure of BaDyFe4O7 with its simulated PXRD pattern. Radiation: Cu Kα X-rays. Structure: a DFT-relaxed cell (GGA+U, the Materials Project).

Cell and atoms:
Lattice parameters (Å, degrees): 6.354 6.354 9.330 90.00 90.00 90.00
Space group I-4 (No. 82)
One atom of each set of equivalent atoms:
Ba  0.000  0.000  0.000 [2 per cell]
Dy  0.000  0.500  0.250 [2 per cell]
Fe  0.029  0.741  0.630 [8 per cell]
O  0.000  0.000  0.500 [2 per cell]
O  0.000  0.500  0.005 [4 per cell]
O  0.199  0.798  0.226 [8 per cell]

Most intense lines, 10 to 90 degrees two-theta, by angle:
(hkl)	d (Å)	2θ/deg	Rel. int.
1 1 2	3.236	27.56	62
2 0 0	3.177	28.09	31
1 0 3	2.793	32.04	51
1 2 1	2.718	32.95	100
2 0 2	2.626	34.14	27
1 3 2	1.845	49.38	28
2 3 1	1.732	52.87	25
2 2 4	1.618	56.91	35



3.
This entry pairs a crystal structure of SrCa7TiMn7O21 with its simulated PXRD pattern. Radiation: Cu Kα X-rays. Structure: a DFT-relaxed cell (GGA+U, the Materials Project).

Cell and atoms:
Lattice parameters (Å, degrees): 7.780 7.783 7.797 90.51 90.17 90.26
Space group P1 (No. 1)
One atom of each set of equivalent atoms:
Sr  0.000  0.000  0.000 [1 per cell]
Ca  0.011  0.529  0.047 [1 per cell]
Ca  0.501  0.556  0.519 [1 per cell]
Ca  0.503  0.544  0.047 [1 per cell]
Ca  0.516  0.006  0.482 [1 per cell]
Ca  0.520  0.022  0.995 [1 per cell]
Ca  0.981  0.517  0.506 [1 per cell]
Ca  0.995  0.967  0.512 [1 per cell]
Ti  0.258  0.278  0.766 [1 per cell]
Mn  0.253  0.741  0.758 [1 per cell]
Mn  0.254  0.273  0.257 [1 per cell]
Mn  0.255  0.779  0.268 [1 per cell]
Mn  0.749  0.747  0.263 [1 per cell]
Mn  0.750  0.238  0.744 [1 per cell]
Mn  0.750  0.270  0.261 [1 per cell]
Mn  0.751  0.745  0.763 [1 per cell]
O  0.003  0.323  0.264 [1 per cell]
O  0.004  0.753  0.727 [1 per cell]
O  0.064  0.157  0.725 [1 per cell]
O  0.195  0.030  0.270 [1 per cell]
O  0.222  0.755  0.010 [1 per cell]
O  0.241  0.484  0.662 [1 per cell]
O  0.263  0.313  0.995 [1 per cell]
O  0.292  0.809  0.518 [1 per cell]
O  0.303  0.523  0.282 [1 per cell]
O  0.463  0.177  0.719 [1 per cell]
O  0.500  0.727  0.800 [1 per cell]
O  0.504  0.209  0.259 [1 per cell]
O  0.521  0.824  0.220 [1 per cell]
O  0.697  0.511  0.292 [1 per cell]
O  0.721  0.789  0.507 [1 per cell]
O  0.747  0.990  0.801 [1 per cell]
O  0.751  0.259  0.009 [1 per cell]
O  0.754  0.486  0.707 [1 per cell]
O  0.772  0.182  0.489 [1 per cell]
O  0.786  0.721  0.017 [1 per cell]
O  0.992  0.734  0.295 [1 per cell]

Most intense lines, 10 to 90 degrees two-theta, by angle:
(hkl)	d (Å)	2θ/deg	Rel. int.
0 2 -2	2.767	32.36	38
2 -2 0	2.755	32.50	100
2 2 0	2.743	32.64	70
0 0 4	1.948	46.63	44
4 0 0	1.945	46.70	28
2 2 -4	1.595	57.79	22
4 -2 2	1.591	57.96	27
4 2 2	1.582	58.32	17



4.